== Exercise ==
Please echo the lines underneath from the one with "SmB3O6. It" to the one with "intensity 47" word for word.

== Data ==
____________
No. 1
The following is a computed powder XRD pattern of SmB3O6. It was derived from the PBE geometry in the Materials Project, using Cu Kα (λ = 1.5418 Å).

Structure:
```
20
Lattice="4.920 -4.069 0.000 4.920 4.069 0.000 -3.803 0.000 5.097" Properties=species:S:1:pos:R:3 pbc="T T T"
Sm 2.068 2.411 3.823
Sm 3.970 -2.411 1.274
B -0.782 0.534 4.650
B 3.970 2.258 1.274
B 1.120 -0.534 2.101
B 4.918 0.534 2.996
B 2.068 -2.258 3.823
B 6.820 -0.534 0.447
O 2.787 3.146 1.486
O 1.040 0.735 2.515
O 3.901 1.504 0.028
O 5.152 3.146 1.062
O -0.862 -0.735 5.063
O 4.038 1.504 2.520
O 1.999 -1.504 2.577
O 6.899 0.735 0.034
O 0.886 -3.146 4.035
O 2.137 -1.504 5.069
O 4.998 -0.735 2.583
O 3.250 -3.146 3.611
```

Principal peaks in the range 2θ from 10° to 90°, sorted by position:
- d = 5.005 Å, intensity 100
- d = 4.069 Å, intensity 40
- d = 3.944 Å, intensity 40
- d = 3.173 Å, intensity 85
- d = 3.029 Å, intensity 30
- d = 2.832 Å, intensity 53
- d = 2.048 Å, intensity 30
- d = 1.864 Å, intensity 29

=====

No. 2
The following is a computed powder XRD pattern of SmBO3. It was derived from the PBE geometry in the Materials Project, using Cu Kα (λ = 1.5418 Å).

Structure:
```
20
Lattice="6.789 0.000 0.000 0.000 8.869 0.000 0.000 0.000 4.299" Properties=species:S:1:pos:R:3 pbc="T T T"
Sm 0.000 0.000 0.000
Sm 0.000 4.434 0.000
Sm 3.394 0.000 2.149
Sm 3.394 4.434 2.149
B 0.888 2.217 1.861
B 2.506 6.652 4.010
B 4.282 2.217 0.289
B 5.901 6.652 2.438
O 0.207 2.217 0.661
O 1.179 0.966 2.407
O 1.179 3.468 2.407
O 2.215 5.400 0.258
O 2.215 7.903 0.258
O 3.188 6.652 2.810
O 3.601 2.217 1.488
O 4.574 0.966 4.041
O 4.574 3.468 4.041
O 5.610 5.400 1.891
O 5.610 7.903 1.891
O 6.582 6.652 3.638
```

Principal peaks in the range 2θ from 10° to 90°, sorted by position:
- d = 4.434 Å, intensity 65
- d = 3.632 Å, intensity 92
- d = 3.394 Å, intensity 43
- d = 2.810 Å, intensity 100
- d = 2.695 Å, intensity 38
- d = 2.002 Å, intensity 34
- d = 1.892 Å, intensity 43
- d = 1.825 Å, intensity 29

=====

No. 3
The following is a computed powder XRD pattern of SmBO3. It was derived from the PBE geometry in the Materials Project, using Cu Kα (λ = 1.5418 Å).

Structure:
```
10
Lattice="8.811 0.000 0.000 0.000 3.462 2.106 0.000 -3.462 2.106" Properties=species:S:1:pos:R:3 pbc="T T T"
Sm 0.000 0.000 0.000
Sm 4.406 0.000 0.000
B 2.203 0.891 2.409
B 6.608 -0.891 2.409
O 0.942 1.187 1.886
O 2.203 0.234 3.614
O 3.463 1.187 1.886
O 5.348 -1.187 1.886
O 6.608 -0.234 3.614
O 7.869 -1.187 1.886
```

Principal peaks in the range 2θ from 10° to 90°, sorted by position:
- d = 4.406 Å, intensity 66
- d = 3.599 Å, intensity 94
- d = 3.462 Å, intensity 47
- d = 2.787 Å, intensity 100
- d = 2.722 Å, intensity 40
- d = 2.024 Å, intensity 37
- d = 1.879 Å, intensity 44
- d = 1.839 Å, intensity 31

=====

No. 4
The following is a computed powder XRD pattern of SmBO3. It was derived from the PBE geometry in the Materials Project, using Cu Kα (λ = 1.5418 Å).

Structure:
```
20
Lattice="6.317 0.000 0.000 -1.911 6.239 0.000 -1.825 -0.930 6.203" Properties=species:S:1:pos:R:3 pbc="T T T"
Sm -0.820 1.349 2.064
Sm 0.834 4.865 1.377
Sm 1.748 0.444 4.825
Sm 3.402 3.960 4.138
B -1.774 0.773 4.842
B 2.022 1.461 1.647
B 0.560 3.848 4.555
B 4.355 4.537 1.361
O -1.264 4.811 0.219
O -1.339 3.680 2.285
O -0.601 0.155 4.435
____________

== Response ==
The following is a computed powder XRD pattern of SmB3O6. It was derived from the PBE geometry in the Materials Project, using Cu Kα (λ = 1.5418 Å).

Structure:
```
20
Lattice="4.920 -4.069 0.000 4.920 4.069 0.000 -3.803 0.000 5.097" Properties=species:S:1:pos:R:3 pbc="T T T"
Sm 2.068 2.411 3.823
Sm 3.970 -2.411 1.274
B -0.782 0.534 4.650
B 3.970 2.258 1.274
B 1.120 -0.534 2.101
B 4.918 0.534 2.996
B 2.068 -2.258 3.823
B 6.820 -0.534 0.447
O 2.787 3.146 1.486
O 1.040 0.735 2.515
O 3.901 1.504 0.028
O 5.152 3.146 1.062
O -0.862 -0.735 5.063
O 4.038 1.504 2.520
O 1.999 -1.504 2.577
O 6.899 0.735 0.034
O 0.886 -3.146 4.035
O 2.137 -1.504 5.069
O 4.998 -0.735 2.583
O 3.250 -3.146 3.611
```

Principal peaks in the range 2θ from 10° to 90°, sorted by position:
- d = 5.005 Å, intensity 100
- d = 4.069 Å, intensity 40
- d = 3.944 Å, intensity 40
- d = 3.173 Å, intensity 85
- d = 3.029 Å, intensity 30
- d = 2.832 Å, intensity 53
- d = 2.048 Å, intensity 30
- d = 1.864 Å, intensity 29

=====

No. 2
The following is a computed powder XRD pattern of SmBO3. It was derived from the PBE geometry in the Materials Project, using Cu Kα (λ = 1.5418 Å).

Structure:
```
20
Lattice="6.789 0.000 0.000 0.000 8.869 0.000 0.000 0.000 4.299" Properties=species:S:1:pos:R:3 pbc="T T T"
Sm 0.000 0.000 0.000
Sm 0.000 4.434 0.000
Sm 3.394 0.000 2.149
Sm 3.394 4.434 2.149
B 0.888 2.217 1.861
B 2.506 6.652 4.010
B 4.282 2.217 0.289
B 5.901 6.652 2.438
O 0.207 2.217 0.661
O 1.179 0.966 2.407
O 1.179 3.468 2.407
O 2.215 5.400 0.258
O 2.215 7.903 0.258
O 3.188 6.652 2.810
O 3.601 2.217 1.488
O 4.574 0.966 4.041
O 4.574 3.468 4.041
O 5.610 5.400 1.891
O 5.610 7.903 1.891
O 6.582 6.652 3.638
```

Principal peaks in the range 2θ from 10° to 90°, sorted by position:
- d = 4.434 Å, intensity 65
- d = 3.632 Å, intensity 92
- d = 3.394 Å, intensity 43
- d = 2.810 Å, intensity 100
- d = 2.695 Å, intensity 38
- d = 2.002 Å, intensity 34
- d = 1.892 Å, intensity 43
- d = 1.825 Å, intensity 29

=====

No. 3
The following is a computed powder XRD pattern of SmBO3. It was derived from the PBE geometry in the Materials Project, using Cu Kα (λ = 1.5418 Å).

Structure:
```
10
Lattice="8.811 0.000 0.000 0.000 3.462 2.106 0.000 -3.462 2.106" Properties=species:S:1:pos:R:3 pbc="T T T"
Sm 0.000 0.000 0.000
Sm 4.406 0.000 0.000
B 2.203 0.891 2.409
B 6.608 -0.891 2.409
O 0.942 1.187 1.886
O 2.203 0.234 3.614
O 3.463 1.187 1.886
O 5.348 -1.187 1.886
O 6.608 -0.234 3.614
O 7.869 -1.187 1.886
```

Principal peaks in the range 2θ from 10° to 90°, sorted by position:
- d = 4.406 Å, intensity 66
- d = 3.599 Å, intensity 94
- d = 3.462 Å, intensity 47